# Excerpt
┌──
Here is a 12-piece molecular cluster, C4H29NO14 overall at a distorted geometry from the OMol25 dataset. Energies are from the ωB97M-V functional and the def2-TZVPD basis.

Geometry as ORCA input:
```
! wB97M-V def2-TZVPD RIJCOSX def2/J DEFGRID3
* xyz 0 1
N 1.016 -1.339 -1.926
C 1.846 -0.276 -1.749
O 3.097 -0.466 -1.676
C 1.261 1.076 -1.568
C 0.183 1.058 -0.482
C 0.014 2.402 0.156
O -0.903 3.145 -0.084
O 0.897 2.791 1.065
H 1.383 -2.254 -2.152
H 0.052 -1.201 -2.087
H 2.065 1.815 -1.285
H 0.848 1.396 -2.510
H -0.776 0.724 -0.905
H 0.417 0.288 0.268
H 1.572 2.064 1.421
O -2.920 2.179 -1.605
H -3.552 2.833 -1.693
H -2.215 2.570 -1.049
O 2.082 0.664 2.213
H 2.020 -0.268 1.816
H 2.928 0.737 2.597
O -1.878 1.380 2.364
H -1.704 2.268 2.007
H -1.960 0.786 1.617
O -0.479 -2.264 2.659
H -0.411 -1.451 3.222
H 0.403 -2.436 2.340
O -3.410 -0.388 -0.989
H -2.739 -0.493 -0.292
H -3.430 0.551 -1.078
O -1.572 -0.156 -2.927
H -1.688 0.730 -3.191
H -2.273 -0.310 -2.262
O -0.026 0.110 3.820
H 0.731 0.359 3.338
H -0.688 0.644 3.408
O -1.243 -1.157 0.381
H -1.118 -1.662 1.220
H -1.359 -1.840 -0.294
O -2.016 -2.572 -1.771
H -1.750 -2.428 -2.658
H -2.786 -2.129 -1.686
O 3.783 -2.623 -0.289
H 3.551 -1.891 -0.944
H 4.698 -2.528 -0.007
O 1.740 -1.783 1.205
H 2.554 -2.189 0.820
H 1.076 -1.755 0.436
*
```

Summary:
- HOMO (eV) = -10.81
- energy relative to the best compared isomer or geometry (same formula, charge and spin) (kcal/mol) = 0.0
- Kohn-Sham gap (eV) = 10.989
- LUMO energy (eV) = 0.18

Löwdin population analysis, charges in e, atoms 1 to 8:
1. N 0.209
2. C -0.459
3. O -0.004
4. C -0.062
5. C -0.107
6. C -0.544
7. O 0.083
8. O 0.101

=====

Molecular formula: C27H73CrN13O16
Method: DFT, wB97M-V/def2-TZVPD

```
130
Properties=species:S:1:pos:R:3
Cr 0.683 -0.830 -3.706
O -3.011 -1.925 4.804
O 1.118 1.462 -3.312
O 1.272 -0.862 -1.451
O 3.615 2.325 -2.190
O 1.796 -0.087 2.914
O 5.892 -0.644 -0.262
O -0.150 2.841 1.730
O 0.244 -3.236 -3.652
O -0.246 -5.376 2.051
O -0.821 -0.872 -1.997
O 0.561 -0.641 -5.897
O 3.278 6.684 2.518
O -5.859 1.411 0.094
O 2.759 -0.906 -4.036
O -4.906 -3.148 1.145
O -1.230 -0.189 -4.793
N -1.007 -3.682 -1.863
N -0.993 -5.200 -3.527
N 4.643 -2.118 -4.031
N -4.997 -1.370 -1.050
N 4.016 -0.044 0.781
N 3.279 4.118 -0.802
N -3.440 -0.859 2.854
N 4.021 -1.905 -0.649
N 1.078 5.539 1.157
N 0.970 -2.703 2.071
N -1.694 -2.214 2.852
N 2.799 2.055 -0.060
N 4.773 0.127 -3.684
C -4.009 -2.448 -1.091
C -5.061 2.486 0.545
C -4.547 -0.026 -1.331
C 2.652 7.387 1.464
C -0.311 -0.132 0.218
C -4.872 -4.049 2.239
C -1.249 2.741 2.619
C -1.000 0.801 -7.006
C -0.498 0.033 -5.767
C 4.706 -0.888 -0.066
C -0.367 3.698 0.621
C -1.162 -6.457 1.887
C 1.960 -1.232 3.784
C -0.329 5.160 0.928
C 2.146 -2.461 2.910
C -5.712 0.992 -1.235
C 0.154 -4.757 0.858
C -0.509 -4.017 -3.079
C 1.241 -3.702 1.051
C 1.595 1.056 3.724
C 3.234 2.794 -1.115
C 3.992 -0.931 -3.972
C -2.745 -1.755 3.626
C 0.086 -0.663 -1.143
C 4.684 6.619 2.441
C 1.198 6.988 1.427
C -4.275 -3.553 -0.077
H -4.028 -2.806 -2.120
H 2.908 8.440 1.629
H 3.083 7.140 0.484
H -3.898 -4.124 2.732
H -0.740 -7.218 1.227
H -6.564 0.433 -1.623
H -3.642 0.265 -0.777
H 2.715 2.492 0.839
H -5.334 2.838 1.536
H 4.653 0.612 1.194
H 5.025 5.692 2.908
H -0.456 -1.093 0.723
H 0.499 0.467 0.622
H 1.519 1.968 3.134
H 5.774 0.090 -3.690
H 1.719 1.836 -2.655
H -4.061 2.051 0.674
H 2.988 4.409 0.114
H 2.092 -4.370 1.207
H -1.454 3.706 3.096
H -0.978 5.489 1.746
H 0.569 -5.516 0.181
H -1.979 1.242 -6.834
H 4.192 -2.996 -4.203
H -1.423 -6.810 2.881
H 0.587 0.967 4.155
H 3.435 4.735 -1.579
H -2.144 -6.219 1.459
H 2.276 1.092 4.576
H -5.475 1.753 -1.984
H -3.607 -1.052 1.882
H 2.931 -2.245 2.175
H -5.005 3.281 -0.201
H 0.351 3.430 -0.153
H -2.143 2.437 2.069
H 5.634 -1.998 -4.157
H -1.085 0.004 -7.745
H 5.091 7.346 3.154
H -4.179 0.120 -2.354
H -1.147 -2.985 3.207
H -4.048 -0.262 3.391
H -5.134 -5.063 1.919
H -1.556 -4.356 -1.375
H 2.730 1.047 -0.080
H 1.326 -3.215 0.075
H 0.766 -1.830 1.603
H 4.622 -2.371 -1.313
└──

# Brief
Quote the listing further up from the first line to the one with "130" exactly.

# Response
Here is a 12-piece molecular cluster, C4H29NO14 overall at a distorted geometry from the OMol25 dataset. Energies are from the ωB97M-V functional and the def2-TZVPD basis.

Geometry as ORCA input:
```
! wB97M-V def2-TZVPD RIJCOSX def2/J DEFGRID3
* xyz 0 1
N 1.016 -1.339 -1.926
C 1.846 -0.276 -1.749
O 3.097 -0.466 -1.676
C 1.261 1.076 -1.568
C 0.183 1.058 -0.482
C 0.014 2.402 0.156
O -0.903 3.145 -0.084
O 0.897 2.791 1.065
H 1.383 -2.254 -2.152
H 0.052 -1.201 -2.087
H 2.065 1.815 -1.285
H 0.848 1.396 -2.510
H -0.776 0.724 -0.905
H 0.417 0.288 0.268
H 1.572 2.064 1.421
O -2.920 2.179 -1.605
H -3.552 2.833 -1.693
H -2.215 2.570 -1.049
O 2.082 0.664 2.213
H 2.020 -0.268 1.816
H 2.928 0.737 2.597
O -1.878 1.380 2.364
H -1.704 2.268 2.007
H -1.960 0.786 1.617
O -0.479 -2.264 2.659
H -0.411 -1.451 3.222
H 0.403 -2.436 2.340
O -3.410 -0.388 -0.989
H -2.739 -0.493 -0.292
H -3.430 0.551 -1.078
O -1.572 -0.156 -2.927
H -1.688 0.730 -3.191
H -2.273 -0.310 -2.262
O -0.026 0.110 3.820
H 0.731 0.359 3.338
H -0.688 0.644 3.408
O -1.243 -1.157 0.381
H -1.118 -1.662 1.220
H -1.359 -1.840 -0.294
O -2.016 -2.572 -1.771
H -1.750 -2.428 -2.658
H -2.786 -2.129 -1.686
O 3.783 -2.623 -0.289
H 3.551 -1.891 -0.944
H 4.698 -2.528 -0.007
O 1.740 -1.783 1.205
H 2.554 -2.189 0.820
H 1.076 -1.755 0.436
*
```

Summary:
- HOMO (eV) = -10.81
- energy relative to the best compared isomer or geometry (same formula, charge and spin) (kcal/mol) = 0.0
- Kohn-Sham gap (eV) = 10.989
- LUMO energy (eV) = 0.18

Löwdin population analysis, charges in e, atoms 1 to 8:
1. N 0.209
2. C -0.459
3. O -0.004
4. C -0.062
5. C -0.107
6. C -0.544
7. O 0.083
8. O 0.101

=====

Molecular formula: C27H73CrN13O16
Method: DFT, wB97M-V/def2-TZVPD

```
130